Input =
/*
Entry 1:
{
  "formula": "C2H12O3S",
  "method": "ωB97M-V with the def2-TZVPD basis set",
  "homo_lumo_gap_ev": 8.81,
  "e_tot_ev": -19246.01292,
  "smiles": "CSC.O.O.O",
  "charge": 0,
  "relative_energy_kcal_mol": 16.70,
  "symbols": ["H", "H", "H", "H", "H", "H", "H", "C", "S", "H", "H", "O", "O", "H", "H", "O", "C", "H"],
  "xyz": [[1.10571, -0.83818, -1.52806], [1.28835, 0.77049, 2.59408], [-1.35444, 3.49635, 2.21007], [0.58112, -2.05634, -7.24007], [-1.28878, 0.76951, 2.88426], [-0.39251, -3.06436, -6.52033], [-0.93091, 3.40967, 3.63761], [1.38874, 0.06488, 1.77220], [0.99614, 0.79849, 0.17336], [-1.77460, -0.08890, 1.72707], [2.43454, -0.23691, 1.79197], [-0.33777, -2.22378, -6.98439], [-1.09113, 2.84021, 2.86599], [0.27346, -1.54625, -0.10587], [0.79994, -0.80973, 1.99818], [-1.57663, -0.13996, 2.67268], [0.41133, -0.65868, -0.71767], [-0.53256, -0.48651, -1.23109]]
}

***

Entry 2:
{
  "formula": "C12H7N2O5STi",
  "method": "ωB97M-V with the def2-TZVPD basis set",
  "homo_lumo_gap_ev": [5.23, 5.26],
  "e_tot_ev": -59703.21719,
  "charge": 2,
  "multiplicity": 2,
  "relative_energy_kcal_mol": 62.36,
  "symbols": ["C", "C", "H", "C", "C", "O", "C", "H", "Ti", "N", "H", "S", "H", "N", "C", "O", "C", "H", "H", "O", "C", "C", "C", "C", "C", "O", "O", "H"],
  "xyz": [[-1.03346, 0.16172, 0.93458], [-0.10415, 2.04307, 0.09035], [0.33521, 2.69916, -1.76190], [3.79949, -3.64936, -3.08393], [-2.86558, 0.78980, 2.40030], [-0.85289, -2.29292, -2.85536], [3.23245, 1.26186, 0.20055], [-0.86496, -1.89734, 0.36456], [1.78235, 0.46223, -0.97847], [0.02715, 0.73294, 0.16772], [0.91450, 3.66264, -0.52355], [-1.29158, 2.77719, 1.08512], [-3.38887, 1.56181, 2.96060], [0.76138, 2.68935, -0.81112], [-2.51188, -1.53627, 1.75898], [4.78580, -4.17053, -2.83669], [0.08108, 0.01615, -2.61509], [-4.04282, -0.87892, 3.15079], [-2.83102, -2.58426, 1.80195], [1.91443, -2.18380, 0.63840], [1.80640, -1.24672, -0.06360], [-1.80422, 1.14292, 1.56896], [-3.21647, -0.57276, 2.50045], [-0.47687, -1.17727, -2.72007], [-1.40848, -1.17187, 0.96882], [-0.10721, 1.16302, -3.10296], [3.72711, 2.03316, 0.95262], [3.63309, 0.16500, -0.19203]]
}

***

Entry 3:
{
  "formula": "C20H21ClN5O2Se2W",
  "method": "ωB97M-V with the def2-TZVPD basis set",
  "homo_lumo_gap_ev": [5.74, 6.01],
  "e_tot_ev": -177639.69364,
*/

Work order =
The reader should set down the whole of the rows further above verbatim.

Outcome =
Entry 1:
{
  "formula": "C2H12O3S",
  "method": "ωB97M-V with the def2-TZVPD basis set",
  "homo_lumo_gap_ev": 8.81,
  "e_tot_ev": -19246.01292,
  "smiles": "CSC.O.O.O",
  "charge": 0,
  "relative_energy_kcal_mol": 16.70,
  "symbols": ["H", "H", "H", "H", "H", "H", "H", "C", "S", "H", "H", "O", "O", "H", "H", "O", "C", "H"],
  "xyz": [[1.10571, -0.83818, -1.52806], [1.28835, 0.77049, 2.59408], [-1.35444, 3.49635, 2.21007], [0.58112, -2.05634, -7.24007], [-1.28878, 0.76951, 2.88426], [-0.39251, -3.06436, -6.52033], [-0.93091, 3.40967, 3.63761], [1.38874, 0.06488, 1.77220], [0.99614, 0.79849, 0.17336], [-1.77460, -0.08890, 1.72707], [2.43454, -0.23691, 1.79197], [-0.33777, -2.22378, -6.98439], [-1.09113, 2.84021, 2.86599], [0.27346, -1.54625, -0.10587], [0.79994, -0.80973, 1.99818], [-1.57663, -0.13996, 2.67268], [0.41133, -0.65868, -0.71767], [-0.53256, -0.48651, -1.23109]]
}

***

Entry 2:
{
  "formula": "C12H7N2O5STi",
  "method": "ωB97M-V with the def2-TZVPD basis set",
  "homo_lumo_gap_ev": [5.23, 5.26],
  "e_tot_ev": -59703.21719,
  "charge": 2,
  "multiplicity": 2,
  "relative_energy_kcal_mol": 62.36,
  "symbols": ["C", "C", "H", "C", "C", "O", "C", "H", "Ti", "N", "H", "S", "H", "N", "C", "O", "C", "H", "H", "O", "C", "C", "C", "C", "C", "O", "O", "H"],
  "xyz": [[-1.03346, 0.16172, 0.93458], [-0.10415, 2.04307, 0.09035], [0.33521, 2.69916, -1.76190], [3.79949, -3.64936, -3.08393], [-2.86558, 0.78980, 2.40030], [-0.85289, -2.29292, -2.85536], [3.23245, 1.26186, 0.20055], [-0.86496, -1.89734, 0.36456], [1.78235, 0.46223, -0.97847], [0.02715, 0.73294, 0.16772], [0.91450, 3.66264, -0.52355], [-1.29158, 2.77719, 1.08512], [-3.38887, 1.56181, 2.96060], [0.76138, 2.68935, -0.81112], [-2.51188, -1.53627, 1.75898], [4.78580, -4.17053, -2.83669], [0.08108, 0.01615, -2.61509], [-4.04282, -0.87892, 3.15079], [-2.83102, -2.58426, 1.80195], [1.91443, -2.18380, 0.63840], [1.80640, -1.24672, -0.06360], [-1.80422, 1.14292, 1.56896], [-3.21647, -0.57276, 2.50045], [-0.47687, -1.17727, -2.72007], [-1.40848, -1.17187, 0.96882], [-0.10721, 1.16302, -3.10296], [3.72711, 2.03316, 0.95262], [3.63309, 0.16500, -0.19203]]
}

***

Entry 3:
{
  "formula": "C20H21ClN5O2Se2W",
  "method": "ωB97M-V with the def2-TZVPD basis set",
  "homo_lumo_gap_ev": [5.74, 6.01],
  "e_tot_ev": -177639.69364,